My answe is simple. Consoles suck. The PC is always superior. Add in mods, the better control schemes, the customizability, the vastly superior hardware, the internet play.
Inserted here: quantum chemistry results:
## i
DFT (wB97M-V/def2-TZVPD) results for an isolated ion of composition C6H13NO and charge +1.

Each line ends with the Löwdin spin population.
Element x y z (Å)
C (-0.4190, 0.3274, -0.9426)  0.000
C (-1.5460, -0.4619, -1.4207)  0.002
C (-1.2524, -1.8850, -2.0288)  0.002
C (-0.3810, 0.3115, 0.5619)  0.011
N (0.7695, 0.5800, 1.2257)  0.527
C (2.1876, 0.6061, 0.6216)  0.041
C (0.6305, 1.1762, 2.5388)  0.075
O (-1.3392, 0.1009, 1.3010)  0.232
H (0.5613, -0.2562, -1.2563)  -0.001
H (-0.4066, 1.2491, -1.4055)  -0.003
H (-2.4143, -0.6213, -0.7089)  0.000
H (-2.1333, -0.0302, -2.2650)  0.000
H (-1.8817, -2.0482, -2.9792)  0.001
H (-0.3112, -2.1696, -2.4293)  0.000
H (-1.3503, -2.5835, -1.1608)  0.000
H (2.8312, 0.0481, 1.3302)  0.019
H (2.2519, -0.0322, -0.2709)  -0.001
H (2.6729, 1.6483, 0.5192)  0.023
H (0.1142, 0.3415, 3.1307)  0.045
H (1.5381, 1.6978, 3.0518)  0.002
H (-0.1222, 2.0011, 2.5870)  0.026

Total charge = +1
LUMO (spin up / spin down) = -3.4 / -8.4 eV
Spin multiplicity = 2

***

## ii
DFT (wB97M-V/def2-TZVPD) results for a 2-piece molecular cluster, C6H13NO overall.

Each line ends with the Löwdin spin population.
Element x y z (Å)
C (-0.3996, -1.5314, -2.7122)  0.081
N (-0.8882, -0.4079, -1.9579)  0.673
C (0.0668, 0.5460, -1.4178)  0.068
C (-0.2253, -0.4094, 3.3701)  0.012
C (0.3838, -0.7065, 2.2328)  0.002
C (-0.1078, -0.5490, 0.8482)  -0.003
C (0.5159, 0.2488, -0.0028)  0.066
H (-0.1359, -2.3599, -2.0516)  0.040
H (0.5369, -1.3382, -3.2394)  0.003
H (-1.1474, -1.7284, -3.4809)  0.017
H (-1.7647, -0.5679, -1.4613)  0.013
H (-0.4240, 1.5211, -1.3466)  0.016
H (0.8746, 0.4887, -2.1377)  0.002
H (-0.9661, 0.3809, 3.4789)  0.001
H (0.1899, -0.6406, 4.3442)  0.001
H (1.3750, -1.1491, 2.2790)  0.000
H (-0.9367, -1.2366, 0.6922)  0.000
H (1.4784, 0.6761, 0.2232)  0.007
H (-0.0181, 3.2677, 0.3247)  0.000
H (1.2114, 2.5482, 0.8827)  0.000
O (0.3809, 2.9475, 1.1320)  0.003

Total charge = +1
LUMO (spin up / spin down) = -3.2 / -7.9 eV
Spin multiplicity = 2

***

In order of decreasing stability: i, ii.

~~~~~

2 unconnected molecules or ions with the total composition H7N3 at a distorted geometry. Source: the OMol25 dataset; level of theory: wB97M-V/def2-TZVPD.

Geometry (Å):
N -1.67280 -0.67175 -1.11829
N -1.13805 -0.29823 0.07778
H -1.99329 0.20809 -1.56994
H -1.00527 -1.16150 -1.74327
H -0.22566 0.04356 0.01758
H -1.24805 -1.02553 0.84790
N 1.63146 0.47741 0.74662
H 1.63327 0.59606 1.83207
H 2.60908 0.37363 0.36569
H 1.40931 1.45827 0.54386

Results
- Structure (SMILES): NN.N
- Relative energy (zero: lowest compared OMol25 entry of this formula, charge and spin): 6.3 kcal per mole


2 unconnected molecules or ions with the total composition H7N3O. Source: the OMol25 dataset; level of theory: wB97M-V/def2-TZVPD.

Geometry (Å):
N 1.54246 0.44338 0.24231
N 2.59241 -0.40461 -0.36544
H 0.67925 0.10340 -0.16314
H 1.49836 0.10966 1.19720
H 3.46646 -0.03165 0.01769
H 2.61471 -0.14204 -1.35293
N -2.57569 0.36316 -0.42389
O -1.81800 -0.74122 0.01432
Here the page continues:
Open your eyes a little man. The consoles are, if anything, trying desperately to be MORE like the PC.
You only run into problems if you are either dirt poor and undedicated to gaming, or incompetent--neither of which I want in my world of online gaming.
(The article is interrupted by molecular data)
~~~
84
Properties=species:S:1:pos:R:3:forces:R:3 method="wB97M-V/def2-TZVPD" total_energy_ev=-447818.643 e_lumo_ev=0.2406 charge=-1 max_force_ev_per_a=0.5 homo_energy_ev=-3.06
Sr 0.2369 -0.8878 0.1490 -0.01 0.27 -0.42
N 1.1123 -3.0097 1.5790 0.00 -0.03 0.03
C 2.4885 -3.3503 1.2014 -0.01 0.01 -0.05
C 2.5754 -3.5602 -0.3041 -0.02 0.03 0.01
N 2.1686 -2.3980 -1.1008 0.00 0.02 0.04
C 3.2618 -1.6276 -1.6850 -0.03 0.03 0.00
C 3.6307 -0.3952 -0.8707 -0.02 -0.03 -0.01
N 2.4651 0.4944 -0.7633 -0.01 0.03 -0.06
H 0.9668 -3.0967 2.5774 0.02 -0.02 0.00
H 0.4519 -3.6372 1.1131 -0.01 0.02 -0.01
H 2.8494 -4.2613 1.6939 -0.01 0.00 0.00
H 3.1503 -2.5323 1.5128 0.00 0.00 0.01
H 1.9107 -4.3821 -0.5888 0.00 0.00 0.00
H 3.5952 -3.8757 -0.5590 0.00 0.00 0.00
H 1.6157 -2.8001 -1.8814 0.01 -0.01 0.01
H 2.9453 -1.2871 -2.6757 0.05 -0.05 0.06
H 4.1565 -2.2451 -1.8352 0.02 0.01 0.01
H 4.4918 0.0950 -1.3411 0.01 0.00 0.00
H 3.9376 -0.6954 0.1377 0.01 0.00 0.00
H 2.1790 0.8027 -1.7004 -0.01 0.03 0.01
H 2.7099 1.3443 -0.2660 0.00 0.00 0.01
Se -1.7916 1.3126 8.0389 0.00 0.00 0.00
N -2.7218 0.6867 6.6517 0.01 0.00 -0.02
C -1.8795 0.5186 5.6693 -0.02 -0.01 0.00
C -2.2570 0.0109 4.3545 -0.03 0.02 0.02
C -3.5723 -0.3419 4.0433 0.02 0.00 -0.02
C -3.8500 -0.8253 2.7875 -0.02 0.00 -0.01
C -2.8087 -0.9436 1.8652 0.02 0.00 -0.02
N -1.5592 -0.6019 2.1482 -0.01 -0.01 0.15
C -1.2772 -0.1345 3.3718 0.09 0.04 -0.04
C 0.1334 0.2316 3.6515 -0.06 -0.01 -0.02
N 1.0207 0.0857 2.6594 -0.01 -0.08 -0.01
C 2.2847 0.4044 2.8829 -0.01 0.00 0.01
C 2.7519 0.8850 4.1032 -0.02 0.01 0.02
C 1.8478 1.0424 5.1299 0.01 0.00 -0.03
C 0.5117 0.7144 4.9082 0.00 0.02 0.03
C -0.5033 0.8637 5.9467 0.02 0.00 -0.01
N -0.2464 1.3040 7.1473 0.00 0.00 -0.02
H -4.3397 -0.2330 4.7982 -0.01 0.00 0.00
H -4.8493 -1.1228 2.5028 0.00 0.00 0.01
H -2.9706 -1.3530 0.8715 0.02 0.00 0.00
H 2.9628 0.2723 2.0458 0.00 -0.01 0.00
H 3.7980 1.1259 4.2292 0.00 0.00 0.00
H 2.1448 1.4137 6.1017 0.00 0.00 0.00
C 0.6622 -0.8391 -3.9682 -0.02 0.06 -0.01
C 0.9031 0.5597 -4.3885 0.00 -0.05 -0.06
N 1.4372 1.5215 -3.6627 0.06 0.01 0.02
C 1.4462 2.6411 -4.4668 0.00 -0.01 0.02
C 0.9099 2.3546 -5.6838 0.00 -0.01 0.00
N 0.5694 1.0222 -5.6194 0.04 0.03 0.02
H 0.5078 -0.8432 -2.8903 0.06 -0.19 0.04
H 1.4813 -1.5186 -4.2076 -0.01 0.07 -0.01
H -0.2309 -1.2716 -4.4304 -0.03 0.03 0.01
H 1.8340 3.5845 -4.1193 -0.01 0.01 0.00
H 0.7419 2.9539 -6.5605 0.00 0.00 0.00
H 0.1198 0.4701 -6.3302 -0.03 -0.02 0.01
C -2.5165 0.9752 -3.5956 -0.01 -0.02 -0.07
S -2.1998 -0.3262 -2.3959 0.21 0.16 0.13
C -3.9073 -0.6018 -1.9413 -0.05 -0.03 -0.01
O -1.5947 0.4652 -1.2179 0.01 -0.06 0.12
H -3.1138 1.7652 -3.1396 -0.01 -0.01 0.02
H -3.0208 0.5194 -4.4467 0.00 0.03 0.00
H -1.5470 1.3674 -3.9048 -0.04 0.01 0.03
H -4.4389 -0.9167 -2.8368 -0.02 0.01 0.00
H -4.3067 0.3189 -1.5112 0.02 0.00 -0.01
H -3.9017 -1.4248 -1.2296 0.00 -0.01 0.00
Se -2.6327 -2.5790 -4.6828 0.01 -0.03 -0.03
Sb -1.5128 -4.1094 -3.0799 0.08 -0.18 0.03
Se -1.5397 -3.0542 -0.7466 -0.26 -0.26 0.11
~~~
As for TV being 'easier' on your eyes--well there's a lot of technological jargon behind it, but let's just put it to you simply: You know those HDTVs, how the pictures move all nice and silky smooth? That's called framerate--your tv can't do over 30 frames per second, but new TVs can do a few more. The computer gaming world has been able to do more than double even the best TV's maximum, depending on the game, for more than 6 years now.
The last and most obvious bottom line is that PC gaming is pretty much the most technologically advanced form of interactive entertainment in human history. If I let you sit down and look at some of the next gen titles we had even last year--Doom 3, the better parts of HL2, the bloody war scenes in Call of Duty, even the everlasting glory of the real time strategy games (something consoles will just never have)--I can personally guarantee you'd understand why. At the end of the day, a computer that can play current-gen video games halfway well at decent settings can also do any other technological hobby in existence. I'm a writer, musician, web developer, and graphic artist (when it suits me)--I can do it all from my computer, because I got a game-capable PC (five years ago, anyway).
I fully maintain the belief that beyond a shadow of a doubt if you have spoken to anyone who has done both game formats to their fullest potential (i.e. gamed on a GOOD computer and knows what they're doing, but has also played all the consoles), they will have similar feelings. The consoles will seem clunky, stupid, dumbed down for the masses, and completely uncooperative and unfair when it comes to pricing, even. Don't believe me? I paid for Warcraft 3 once, and have been playing it for at least three years...STRAIGHT.
I like computer gaming because it pushes the boundaries of the current generation of gaming, as it has the previous things. All you people who love your Mario Sunshines, your Legend of Zelda: Ocarina of Times, and your Splinter Cells and MGS's, you all owe that crap STRICTLY to the PC. Because that is where the people who came up with the ideas behind modern gaming bred their ideas into conventions.
Between two parts of the piece: records of molecules
____________
Entry from OMol25: one molecule with the formula C3H6BN in a non-equilibrium geometry (ωB97M-V/def2-TZVPD).

Computed properties:
Gap between HOMO and LUMO, hartree: 0.3165
Energy relative to the best compared isomer or geometry (same formula, charge and spin), kJ/mol: 322.9
Calculated total energy, Ha: -197.374485

Bonds (Å) are listed after each position.
Element x y z (Å)
1 B -1.1533 -0.0304 0.0554  C3 1.605, C4 1.520, H6 1.253
2 C 1.3349 0.4353 -0.0872  C3 1.472, N5 1.254, H7 1.112
3 C 0.0084 1.0724 -0.0487  B1 1.605, C2 1.472, H8 1.144, H9 1.154
4 C -0.6007 -1.4457 0.0203  B1 1.520, H10 1.149, H11 0.996
5 N 1.4480 -0.8044 0.0667  C2 1.254
6 H -2.2969 0.3934 0.3450  B1 1.253
7 H 2.3115 0.9592 0.0068  C2 1.112
8 H 0.1351 1.6972 -0.9980  C3 1.144
9 H -0.1649 1.8275 0.8063  C3 1.154
10 H -0.6586 -2.3488 0.7290  C4 1.149
11 H -0.3634 -1.7556 -0.8957  C4 0.996
____________
50 dollar games that play for six hours that you don't ever want to play again. Computer games don't have lame-ass unlockable content like the main character in a jock strap or a baby diaper to try and trick you into believing the four hour game you bought was worth fifty dollars. Not to mention the graphics tend to suck compared to the computer, and a lot of games offer little to no customizability. At the end of the day, if you compare the two, consoles almost border on a rip-off.
All that aside any person with a job and half-decent saving habits can afford a pretty decent computer. You won't be playing Oblivion or anything like that but a person who knows their stuff can get the right parts for a beast machine off of website directories and such for fairly short money.
At the end of the day, my friend, PC games are better in every way you can imagine, and a powerful PC is ALWAYS worth the investment.